-- Assignment --
Next, return only the lines below with the word "each" in them.

-- Input --
~~~
Mg2Zn2Au7 | PBE-GGA | optimized geometry

Lattice parameters (Å, degrees): 5.0145 6.5417 6.5417 85.41 97.07 97.07
Closest atoms and distances in Å follow each position.
Element x y z (fractional)
Mg1 0.2342 0.2501 0.2501  9 Au 2.81-3.10
Mg2 0.7658 0.7499 0.7499  9 Au 2.81-3.10
Zn1 0.0000 0.2306 0.7694  6 Au 2.63-2.94
Zn2 0.0000 0.7694 0.2306  6 Au 2.63-2.94
Au1 0.7414 0.0269 0.3991  2 Zn 2.63-2.94, 4 Au 2.75-2.87, 2 Mg 2.81-2.94
Au2 0.2586 0.6009 0.9731  2 Zn 2.63-2.94, 4 Au 2.75-2.87, 2 Mg 2.81-2.94
Au3 0.2586 0.9731 0.6009  2 Zn 2.63-2.94, 4 Au 2.75-2.87, 2 Mg 2.81-2.94
Au4 0.7414 0.3991 0.0269  2 Zn 2.63-2.94, 4 Au 2.75-2.87, 2 Mg 2.81-2.94
Au5 0.5000 0.0000 0.0000  4 Au 2.75, 2 Mg 2.94
Au6 0.2691 0.5490 0.5490  4 Au 2.64-2.83, 2 Zn 2.75, 2 Mg 2.85-2.88
Au7 0.7309 0.4510 0.4510  4 Au 2.64-2.83, 2 Zn 2.75, 2 Mg 2.85-2.88

ΔH_f (0 K) (eV per atom): -0.230
Density of states at the Fermi level (states/eV/f.u.): 2.37
Symmetry: C2/m (12)
Calculated density (g/cm3): 12.27

***

Mg6ZnAu3 | PBE-GGA | optimized geometry

Lattice parameters (Å, degrees): 4.7970 8.0563 10.2848 110.02 90.00 90.00
Closest atoms and distances in Å follow each position.
Element x y z (fractional)
Mg1 0.2500 0.4658 0.0816  7 Au 2.85-3.11, 5 Mg 3.03-3.08
Mg2 0.7500 0.5342 0.9184  7 Au 2.85-3.11, 5 Mg 3.03-3.08
Mg3 0.2500 0.1488 0.1759  8 Mg 2.94-3.16, 4 Au 2.96-3.04
Mg4 0.7500 0.8512 0.8241  8 Mg 2.94-3.16, 4 Au 2.96-3.04
Mg5 0.2500 0.6531 0.6764  5 Au 2.76-2.91, 1 Zn 2.89, 3 Mg 2.99-3.08
Mg6 0.7500 0.3469 0.3236  5 Au 2.76-2.91, 1 Zn 2.89, 3 Mg 2.99-3.08
Mg7 0.2500 0.2576 0.4983  4 Au 2.79-2.98, 3 Zn 2.87-2.91, 1 Mg 3.08
Mg8 0.7500 0.7424 0.5017  4 Au 2.79-2.98, 3 Zn 2.87-2.91, 1 Mg 3.08
Mg9 0.2500 0.8362 0.2951  3 Zn 2.83-2.94, 3 Au 2.87-2.88, 2 Mg 3.04-3.16
Mg10 0.7500 0.1638 0.7049  3 Zn 2.83-2.94, 3 Au 2.87-2.88, 2 Mg 3.04-3.16
Mg11 0.2500 0.0835 0.8767  4 Au 2.77-2.92, 1 Zn 2.79, 4 Mg 2.94-3.08
Mg12 0.7500 0.9165 0.1233  4 Au 2.77-2.92, 1 Zn 2.79, 4 Mg 2.94-3.08
Zn1 0.2500 0.9563 0.5875  8 Mg 2.79-2.94
Zn2 0.7500 0.0437 0.4125  8 Mg 2.79-2.94
Au1 0.2500 0.5281 0.3749  9 Mg 2.76-3.04
Au2 0.7500 0.4719 0.6251  9 Mg 2.76-3.04
Au3 0.2500 0.3705 0.7865  8 Mg 2.77-2.88
Au4 0.7500 0.6295 0.2135  8 Mg 2.77-2.88
Au5 0.2500 0.7837 0.9754  11 Mg 2.85-3.17
Au6 0.7500 0.2163 0.0246  11 Mg 2.85-3.17

ΔH_f (0 K) (eV per atom): -0.408
Density of states at the Fermi level (states/eV/f.u.): 3.17
Symmetry: P2_1/m (11)
Calculated density (g/cm3): 7.13

***

MgZnAu5 | PBE-GGA | optimized geometry

Lattice parameters (Å, degrees): 4.0853 4.0853 7.7430 90.00 90.00 90.00
Closest atoms and distances in Å follow each position.
Element x y z (fractional)
Mg1 0.0000 0.0000 0.0000  12 Au 2.89-2.96
Zn1 0.0000 0.0000 0.5000  8 Au 2.68
Au1 0.5000 0.0000 0.7237  2 Zn 2.68, 6 Au 2.89-2.96, 2 Mg 2.96
Au2 0.0000 0.5000 0.7237  2 Zn 2.68, 6 Au 2.89-2.96, 2 Mg 2.96
Au3 0.5000 0.5000 0.0000  4 Mg 2.89, 8 Au 2.96
Au4 0.0000 0.5000 0.2763  2 Zn 2.68, 6 Au 2.89-2.96, 2 Mg 2.96
Au5 0.5000 0.0000 0.2763  2 Zn 2.68, 6 Au 2.89-2.96, 2 Mg 2.96

ΔH_f (0 K) (eV per atom): -0.246
E above lowest polymorph (kJ per mole of atoms): 2.4
Density of states at the Fermi level (states/eV/f.u.): 2.33
Symmetry: P4/mmm (123)
Calculated density (g/cm3): 13.81

***

Mg3ZnAu4 | PBE-GGA | optimized geometry

Lattice parameters (Å, degrees): 3.2732 3.2732 13.1488 90.00 90.00 90.00
Closest atoms and distances in Å follow each position.
Element x y z (fractional)
Mg1 0.5000 0.5000 0.2445  8 Au 2.85-2.86
Mg2 0.5000 0.5000 0.5000  8 Au 2.86
Mg3 0.5000 0.5000 0.7555  8 Au 2.85-2.86
Au1 0.0000 0.0000 0.8824  4 Zn 2.78, 4 Mg 2.85, 1 Au 3.09
Au2 0.0000 0.0000 0.1176  4 Zn 2.78, 4 Mg 2.85, 1 Au 3.09
Au3 0.0000 0.0000 0.3725  8 Mg 2.86
Au4 0.0000 0.0000 0.6275  8 Mg 2.86
Zn1 0.5000 0.5000 0.0000  8 Au 2.78

ΔH_f (0 K) (eV per atom): -0.508
Density of states at the Fermi level (states/eV/f.u.): 2.87
Symmetry: P4/mmm (123)
Calculated density (g/cm3): 10.92

***

Mg2ZnAu | PBE-GGA | optimized geometry
~~~

-- Completed --
Closest atoms and distances in Å follow each position.
Closest atoms and distances in Å follow each position.
Closest atoms and distances in Å follow each position.
Closest atoms and distances in Å follow each position.